# Excerpt
/*
Record 1
A geometry-optimized LiCu2F7 structure, computed with PBE-GGA.

Geometry as POSCAR:
```
LiCu2F7
1.0
7.0592 0.0000 0.0000
0.0000 10.5705 0.0000
0.0000 0.0000 14.3525
Li Cu F
8 16 56
Direct
0.9059 0.0760 0.4897
0.0341 0.1137 0.9989
0.5341 0.3863 0.4989
0.4059 0.4240 0.9897
0.9059 0.5760 0.0103
0.0341 0.6137 0.5011
0.5341 0.8863 0.0011
0.4059 0.9240 0.5103
0.0230 0.0331 0.6829
0.5612 0.1812 0.0132
0.7050 0.2275 0.8214
0.7096 0.2351 0.3341
0.2096 0.2649 0.8341
0.2050 0.2725 0.3214
0.0612 0.3188 0.5132
0.5230 0.4669 0.1829
0.0230 0.5331 0.8171
0.5612 0.6812 0.4868
0.7050 0.7275 0.6786
0.7096 0.7351 0.1659
0.2096 0.7649 0.6659
0.2050 0.7725 0.1786
0.0612 0.8188 0.9868
0.5230 0.9669 0.3171
0.3753 0.0303 0.4109
0.4836 0.0351 0.0699
0.7387 0.0630 0.3893
0.6251 0.0885 0.9022
0.1841 0.1062 0.7707
0.7955 0.1033 0.7382
0.5932 0.1291 0.2448
0.2514 0.1446 0.2402
0.8104 0.1732 0.0589
0.1077 0.1755 0.4323
0.0013 0.1888 0.6010
0.2871 0.1968 0.9584
0.9566 0.2262 0.8849
0.9505 0.2403 0.2727
0.4505 0.2597 0.7727
0.4566 0.2738 0.3849
0.7871 0.3032 0.4584
0.5013 0.3112 0.1010
0.6077 0.3245 0.9323
0.3104 0.3268 0.5589
0.7514 0.3554 0.7402
0.0932 0.3709 0.7448
0.2955 0.3967 0.2382
0.6841 0.3938 0.2707
0.1251 0.4115 0.4022
0.2387 0.4370 0.8893
0.9836 0.4649 0.5699
0.8753 0.4697 0.9109
0.3753 0.5303 0.0891
0.4836 0.5351 0.4301
0.7387 0.5630 0.1107
0.6251 0.5885 0.5978
0.1841 0.6062 0.7293
0.7955 0.6033 0.7618
0.5932 0.6291 0.2552
0.2514 0.6446 0.2598
0.8104 0.6732 0.4411
0.1077 0.6755 0.0677
0.0013 0.6888 0.8990
0.2871 0.6968 0.5416
0.9566 0.7262 0.6151
0.9505 0.7403 0.2273
0.4505 0.7597 0.7273
0.4566 0.7738 0.1151
0.7871 0.8032 0.0416
0.5013 0.8112 0.3990
0.6077 0.8245 0.5677
0.3104 0.8268 0.9411
0.7514 0.8554 0.7598
0.0932 0.8709 0.7552
0.2955 0.8967 0.2618
0.6841 0.8938 0.2293
0.1251 0.9115 0.0978
0.2387 0.9370 0.6107
0.9836 0.9649 0.9301
0.8753 0.9697 0.5891
```

Formation energy ... -1.860 eV per atom
Total energy ... -3.888 eV per atom
Polymorph energy (0 for the lowest one) ... 67 meV/atom


Record 2
A geometry-optimized Pb8Cl4O7 structure, computed with PBE-GGA.

Geometry as POSCAR:
```
Pb8Cl4O7
1.0
-1.1147 -9.8516 9.4114
1.1456 -12.7206 4.8730
19.9336 0.6532 9.5146
Pb Cl O
32 16 28
Direct
0.7903 0.8569 0.1738
0.1431 0.2097 0.3262
0.2097 0.1431 0.8262
0.8569 0.7903 0.6738
0.4570 0.3942 0.1470
0.6058 0.5430 0.3530
0.5430 0.6058 0.8530
0.3942 0.4570 0.6470
0.3478 0.2979 0.0392
0.7021 0.6522 0.4608
0.6522 0.7021 0.9608
0.2979 0.3478 0.5392
0.8909 0.9608 0.0140
0.0392 0.1091 0.4860
0.1091 0.0392 0.9860
0.9608 0.8909 0.5140
0.6778 0.6702 0.2042
0.3298 0.3222 0.2958
0.3222 0.3298 0.7958
0.6702 0.6778 0.7042
0.0574 0.0907 0.2263
0.9093 0.9426 0.2737
0.9426 0.9093 0.7737
0.0907 0.0574 0.7263
0.1710 0.1747 0.0809
0.8253 0.8290 0.4191
0.8290 0.8253 0.9191
0.1747 0.1710 0.5809
0.5546 0.5923 0.1121
0.4077 0.4454 0.3879
0.4454 0.4077 0.8879
0.5923 0.5546 0.6121
0.5000 0.5000 0.0000
0.5000 0.5000 0.5000
0.4996 0.5004 0.2500
0.5004 0.4996 0.7500
0.2399 0.2437 0.1892
0.7563 0.7601 0.3108
0.7601 0.7563 0.8108
0.2437 0.2399 0.6892
0.2649 0.2518 0.9347
0.7482 0.7351 0.5653
0.7351 0.7482 0.0653
0.2518 0.2649 0.4347
0.0041 0.0058 0.1213
0.9942 0.9959 0.3787
0.9959 0.9942 0.8787
0.0058 0.0041 0.6213
0.6204 0.1298 0.0936
0.8702 0.3796 0.4064
0.3796 0.8702 0.9064
0.1298 0.6204 0.5936
0.6288 0.1231 0.2236
0.8769 0.3712 0.2764
0.3712 0.8769 0.7764
0.1231 0.6288 0.7236
0.6150 0.1370 0.9633
0.8630 0.3850 0.5367
0.3850 0.8630 0.0367
0.1370 0.6150 0.4633
0.3711 0.8760 0.1658
0.1240 0.6289 0.3342
0.6289 0.1240 0.8342
0.8760 0.3711 0.6658
0.8704 0.3768 0.1476
0.6232 0.1296 0.3524
0.1296 0.6232 0.8524
0.3768 0.8704 0.6476
0.0903 0.6464 0.9993
0.3536 0.9097 0.5007
0.9097 0.3536 0.0007
0.6464 0.0903 0.4993
0.1326 0.6108 0.1863
0.3892 0.8674 0.3137
0.8674 0.3892 0.8137
0.6108 0.1326 0.6863
```

Formation energy ... -1.322 eV per atom
Total energy ... -4.844 eV per atom


Record 3
A geometry-optimized CaP2H6O9 structure, computed with PBE-GGA.

Geometry as POSCAR:
```
*/

# Brief
What is needed: copy all of the material above unchanged.

# Solution
Record 1
A geometry-optimized LiCu2F7 structure, computed with PBE-GGA.

Geometry as POSCAR:
```
LiCu2F7
1.0
7.0592 0.0000 0.0000
0.0000 10.5705 0.0000
0.0000 0.0000 14.3525
Li Cu F
8 16 56
Direct
0.9059 0.0760 0.4897
0.0341 0.1137 0.9989
0.5341 0.3863 0.4989
0.4059 0.4240 0.9897
0.9059 0.5760 0.0103
0.0341 0.6137 0.5011
0.5341 0.8863 0.0011
0.4059 0.9240 0.5103
0.0230 0.0331 0.6829
0.5612 0.1812 0.0132
0.7050 0.2275 0.8214
0.7096 0.2351 0.3341
0.2096 0.2649 0.8341
0.2050 0.2725 0.3214
0.0612 0.3188 0.5132
0.5230 0.4669 0.1829
0.0230 0.5331 0.8171
0.5612 0.6812 0.4868
0.7050 0.7275 0.6786
0.7096 0.7351 0.1659
0.2096 0.7649 0.6659
0.2050 0.7725 0.1786
0.0612 0.8188 0.9868
0.5230 0.9669 0.3171
0.3753 0.0303 0.4109
0.4836 0.0351 0.0699
0.7387 0.0630 0.3893
0.6251 0.0885 0.9022
0.1841 0.1062 0.7707
0.7955 0.1033 0.7382
0.5932 0.1291 0.2448
0.2514 0.1446 0.2402
0.8104 0.1732 0.0589
0.1077 0.1755 0.4323
0.0013 0.1888 0.6010
0.2871 0.1968 0.9584
0.9566 0.2262 0.8849
0.9505 0.2403 0.2727
0.4505 0.2597 0.7727
0.4566 0.2738 0.3849
0.7871 0.3032 0.4584
0.5013 0.3112 0.1010
0.6077 0.3245 0.9323
0.3104 0.3268 0.5589
0.7514 0.3554 0.7402
0.0932 0.3709 0.7448
0.2955 0.3967 0.2382
0.6841 0.3938 0.2707
0.1251 0.4115 0.4022
0.2387 0.4370 0.8893
0.9836 0.4649 0.5699
0.8753 0.4697 0.9109
0.3753 0.5303 0.0891
0.4836 0.5351 0.4301
0.7387 0.5630 0.1107
0.6251 0.5885 0.5978
0.1841 0.6062 0.7293
0.7955 0.6033 0.7618
0.5932 0.6291 0.2552
0.2514 0.6446 0.2598
0.8104 0.6732 0.4411
0.1077 0.6755 0.0677
0.0013 0.6888 0.8990
0.2871 0.6968 0.5416
0.9566 0.7262 0.6151
0.9505 0.7403 0.2273
0.4505 0.7597 0.7273
0.4566 0.7738 0.1151
0.7871 0.8032 0.0416
0.5013 0.8112 0.3990
0.6077 0.8245 0.5677
0.3104 0.8268 0.9411
0.7514 0.8554 0.7598
0.0932 0.8709 0.7552
0.2955 0.8967 0.2618
0.6841 0.8938 0.2293
0.1251 0.9115 0.0978
0.2387 0.9370 0.6107
0.9836 0.9649 0.9301
0.8753 0.9697 0.5891
```

Formation energy ... -1.860 eV per atom
Total energy ... -3.888 eV per atom
Polymorph energy (0 for the lowest one) ... 67 meV/atom


Record 2
A geometry-optimized Pb8Cl4O7 structure, computed with PBE-GGA.

Geometry as POSCAR:
```
Pb8Cl4O7
1.0
-1.1147 -9.8516 9.4114
1.1456 -12.7206 4.8730
19.9336 0.6532 9.5146
Pb Cl O
32 16 28
Direct
0.7903 0.8569 0.1738
0.1431 0.2097 0.3262
0.2097 0.1431 0.8262
0.8569 0.7903 0.6738
0.4570 0.3942 0.1470
0.6058 0.5430 0.3530
0.5430 0.6058 0.8530
0.3942 0.4570 0.6470
0.3478 0.2979 0.0392
0.7021 0.6522 0.4608
0.6522 0.7021 0.9608
0.2979 0.3478 0.5392
0.8909 0.9608 0.0140
0.0392 0.1091 0.4860
0.1091 0.0392 0.9860
0.9608 0.8909 0.5140
0.6778 0.6702 0.2042
0.3298 0.3222 0.2958
0.3222 0.3298 0.7958
0.6702 0.6778 0.7042
0.0574 0.0907 0.2263
0.9093 0.9426 0.2737
0.9426 0.9093 0.7737
0.0907 0.0574 0.7263
0.1710 0.1747 0.0809
0.8253 0.8290 0.4191
0.8290 0.8253 0.9191
0.1747 0.1710 0.5809
0.5546 0.5923 0.1121
0.4077 0.4454 0.3879
0.4454 0.4077 0.8879
0.5923 0.5546 0.6121
0.5000 0.5000 0.0000
0.5000 0.5000 0.5000
0.4996 0.5004 0.2500
0.5004 0.4996 0.7500
0.2399 0.2437 0.1892
0.7563 0.7601 0.3108
0.7601 0.7563 0.8108
0.2437 0.2399 0.6892
0.2649 0.2518 0.9347
0.7482 0.7351 0.5653
0.7351 0.7482 0.0653
0.2518 0.2649 0.4347
0.0041 0.0058 0.1213
0.9942 0.9959 0.3787
0.9959 0.9942 0.8787
0.0058 0.0041 0.6213
0.6204 0.1298 0.0936
0.8702 0.3796 0.4064
0.3796 0.8702 0.9064
0.1298 0.6204 0.5936
0.6288 0.1231 0.2236
0.8769 0.3712 0.2764
0.3712 0.8769 0.7764
0.1231 0.6288 0.7236
0.6150 0.1370 0.9633
0.8630 0.3850 0.5367
0.3850 0.8630 0.0367
0.1370 0.6150 0.4633
0.3711 0.8760 0.1658
0.1240 0.6289 0.3342
0.6289 0.1240 0.8342
0.8760 0.3711 0.6658
0.8704 0.3768 0.1476
0.6232 0.1296 0.3524
0.1296 0.6232 0.8524
0.3768 0.8704 0.6476
0.0903 0.6464 0.9993
0.3536 0.9097 0.5007
0.9097 0.3536 0.0007
0.6464 0.0903 0.4993
0.1326 0.6108 0.1863
0.3892 0.8674 0.3137
0.8674 0.3892 0.8137
0.6108 0.1326 0.6863
```

Formation energy ... -1.322 eV per atom
Total energy ... -4.844 eV per atom


Record 3
A geometry-optimized CaP2H6O9 structure, computed with PBE-GGA.

Geometry as POSCAR:
```